== Input ==
<<<
A 3-piece molecular cluster, C20H25I2N6O4 overall at a distorted geometry, computed with ωB97M-V with the def2-TZVPD basis set.

Last column: natural (NBO) charge in e.
Geometry (Å):
I  4.2099  0.7404  3.7729  0.48
N  3.2313  -0.5131  2.4704  -0.78
C  1.8922  -0.5945  2.4561  0.58
N  1.0021  0.1635  3.3134  -0.51
C  -0.3480  -0.1985  2.9717  0.26
I  -2.1151  0.5843  3.9320  0.35
N  -0.2784  -1.1561  1.8921  -0.23
C  -1.4980  -1.7311  1.2386  0.30
C  -2.4055  -2.5805  2.1475  -0.26
C  -3.7096  -3.1494  1.4841  -0.15
C  -3.9632  -2.7733  -0.0125  -0.22
C  -2.8767  -1.9138  -0.7008  0.05
N  -1.6854  -1.3865  -0.1282  -0.41
N  1.0285  -1.3903  1.6219  -0.21
C  1.6014  -2.3158  0.6141  0.03
C  1.3139  -3.8273  0.7013  -0.15
C  2.0492  -4.5821  -0.4169  -0.25
C  2.9057  -3.8150  -1.4118  0.06
N  3.1626  -2.4238  -1.5590  -0.38
C  2.4688  -1.7723  -0.5049  0.01
H  3.8028  -1.0595  1.8121  0.45
H  -2.2026  -2.8100  3.2531  0.26
H  -4.4579  -3.7763  2.0642  0.25
H  -4.9191  -3.1476  -0.5055  0.26
H  -3.0785  -1.6330  -1.8001  0.24
H  0.6782  -4.3211  1.5017  0.26
H  1.9536  -5.7167  -0.4986  0.26
H  3.4513  -4.4647  -2.1954  0.23
H  2.5969  -0.6230  -0.5103  0.22
O  -7.4786  2.9827  -0.1350  -0.56
C  -6.6749  3.3741  0.6770  0.79
O  -6.1117  2.5051  1.5420  -0.51
C  -5.0315  2.8263  2.4273  -0.06
C  -5.5421  3.4811  3.6955  -0.64
C  -6.3555  4.8372  0.8008  -0.75
H  -4.2736  3.4265  1.9179  0.18
H  -4.5534  1.8765  2.6825  0.18
H  -6.0494  4.4249  3.4873  0.22
H  -4.7186  3.6775  4.3867  0.21
H  -6.2709  2.8345  4.1909  0.22
H  -7.1404  5.3268  1.3798  0.25
H  -6.3226  5.2692  -0.2018  0.25
H  -5.3877  5.0443  1.2534  0.21
O  6.9858  -0.5646  -5.9592  -0.56
C  6.5072  -0.0420  -4.9811  0.79
O  5.2554  -0.3573  -4.5915  -0.51
C  4.6559  0.0718  -3.3619  -0.07
C  4.0720  1.4642  -3.4983  -0.64
C  7.2549  1.0283  -4.2369  -0.74
H  5.3628  -0.0109  -2.5323  0.17
H  3.8495  -0.6339  -3.1512  0.21
H  4.8401  2.2041  -3.7324  0.21
H  3.5733  1.7657  -2.5737  0.21
H  3.3467  1.4943  -4.3153  0.22
H  7.1440  1.9761  -4.7662  0.25
H  8.3114  0.7529  -4.2055  0.25
H  6.9416  1.1517  -3.2019  0.21

The HOMO energy comes out at -11.61 eV. As for the total charge: +1. The value obtained for the LUMO energy is -4.06 eV. The strongest force on any atom is 6.7 eV/Å. As for the HOMO-LUMO gap: 7.553 eV.

---

One molecule with the formula C4H4N2OS at a distorted geometry, computed with ωB97M-V with the def2-TZVPD basis set.

Last column: natural (NBO) charge in e.
Geometry (Å):
C  1.0601  1.2043  0.0371  0.27
C  -1.2689  0.4736  -0.0112  -0.10
C  -1.8870  -0.7204  0.0082  0.07
C  0.3343  -1.2065  -0.0083  0.34
H  2.6513  0.1760  -0.0219  0.37
H  0.5420  2.1483  -0.0513  0.16
H  -1.7312  1.4532  0.0121  0.25
H  -2.9100  -1.0482  0.0276  0.23
N  2.3277  1.1439  -0.0179  -0.60
N  0.1022  0.1559  0.0277  -0.44
O  -0.9118  -1.6829  -0.0116  -0.43
S  1.6911  -2.0971  0.0094  -0.13

For the energy above the lowest of the compared OMol25 structures with the same formula, charge and spin, the calculation gives 106.72 kJ/mol. The HOMO energy comes out at -8.72 eV. The value obtained for the LUMO energy is 0.56 eV. The strongest force on any atom is 2.5 eV/Å. As for the HOMO-LUMO gap: 9.280 eV.

---

C12H17BrMnN3O2PS as an isolated structure at a distorted geometry, computed with ωB97M-V with the def2-TZVPD basis set.

Last column: natural (NBO) charge in e.
Geometry (Å):
Mn  0.3812  -0.4671  0.8540  1.47
O  6.1395  -1.5535  2.2251  -0.57
C  4.9495  -1.2720  1.7543  0.46
C  4.6367  -1.1628  0.3878  -0.30
C  3.3523  -0.8791  0.0176  0.10
N  2.3684  -0.6983  0.9336  -0.67
C  2.7104  -0.7997  2.2241  0.17
Br  1.1701  -0.5146  3.3179  0.23
C  3.9389  -1.0731  2.7195  -0.30
H  6.8098  -1.6822  1.5386  0.52
H  5.3951  -1.3042  -0.3710  0.27
H  3.0705  -0.7889  -1.0220  0.24
H  4.1572  -1.1438  3.7760  0.30
S  -1.5065  -1.5859  0.9424  -0.04
C  -3.2509  -1.7036  0.6672  0.32
N  -4.1245  -0.8330  1.2137  -0.47
C  -5.4552  -1.0055  1.0522  0.15
>>>

== Activity ==
Now repeat the contents further above word for word.

== Completed ==
A 3-piece molecular cluster, C20H25I2N6O4 overall at a distorted geometry, computed with ωB97M-V with the def2-TZVPD basis set.

Last column: natural (NBO) charge in e.
Geometry (Å):
I  4.2099  0.7404  3.7729  0.48
N  3.2313  -0.5131  2.4704  -0.78
C  1.8922  -0.5945  2.4561  0.58
N  1.0021  0.1635  3.3134  -0.51
C  -0.3480  -0.1985  2.9717  0.26
I  -2.1151  0.5843  3.9320  0.35
N  -0.2784  -1.1561  1.8921  -0.23
C  -1.4980  -1.7311  1.2386  0.30
C  -2.4055  -2.5805  2.1475  -0.26
C  -3.7096  -3.1494  1.4841  -0.15
C  -3.9632  -2.7733  -0.0125  -0.22
C  -2.8767  -1.9138  -0.7008  0.05
N  -1.6854  -1.3865  -0.1282  -0.41
N  1.0285  -1.3903  1.6219  -0.21
C  1.6014  -2.3158  0.6141  0.03
C  1.3139  -3.8273  0.7013  -0.15
C  2.0492  -4.5821  -0.4169  -0.25
C  2.9057  -3.8150  -1.4118  0.06
N  3.1626  -2.4238  -1.5590  -0.38
C  2.4688  -1.7723  -0.5049  0.01
H  3.8028  -1.0595  1.8121  0.45
H  -2.2026  -2.8100  3.2531  0.26
H  -4.4579  -3.7763  2.0642  0.25
H  -4.9191  -3.1476  -0.5055  0.26
H  -3.0785  -1.6330  -1.8001  0.24
H  0.6782  -4.3211  1.5017  0.26
H  1.9536  -5.7167  -0.4986  0.26
H  3.4513  -4.4647  -2.1954  0.23
H  2.5969  -0.6230  -0.5103  0.22
O  -7.4786  2.9827  -0.1350  -0.56
C  -6.6749  3.3741  0.6770  0.79
O  -6.1117  2.5051  1.5420  -0.51
C  -5.0315  2.8263  2.4273  -0.06
C  -5.5421  3.4811  3.6955  -0.64
C  -6.3555  4.8372  0.8008  -0.75
H  -4.2736  3.4265  1.9179  0.18
H  -4.5534  1.8765  2.6825  0.18
H  -6.0494  4.4249  3.4873  0.22
H  -4.7186  3.6775  4.3867  0.21
H  -6.2709  2.8345  4.1909  0.22
H  -7.1404  5.3268  1.3798  0.25
H  -6.3226  5.2692  -0.2018  0.25
H  -5.3877  5.0443  1.2534  0.21
O  6.9858  -0.5646  -5.9592  -0.56
C  6.5072  -0.0420  -4.9811  0.79
O  5.2554  -0.3573  -4.5915  -0.51
C  4.6559  0.0718  -3.3619  -0.07
C  4.0720  1.4642  -3.4983  -0.64
C  7.2549  1.0283  -4.2369  -0.74
H  5.3628  -0.0109  -2.5323  0.17
H  3.8495  -0.6339  -3.1512  0.21
H  4.8401  2.2041  -3.7324  0.21
H  3.5733  1.7657  -2.5737  0.21
H  3.3467  1.4943  -4.3153  0.22
H  7.1440  1.9761  -4.7662  0.25
H  8.3114  0.7529  -4.2055  0.25
H  6.9416  1.1517  -3.2019  0.21

The HOMO energy comes out at -11.61 eV. As for the total charge: +1. The value obtained for the LUMO energy is -4.06 eV. The strongest force on any atom is 6.7 eV/Å. As for the HOMO-LUMO gap: 7.553 eV.

---

One molecule with the formula C4H4N2OS at a distorted geometry, computed with ωB97M-V with the def2-TZVPD basis set.

Last column: natural (NBO) charge in e.
Geometry (Å):
C  1.0601  1.2043  0.0371  0.27
C  -1.2689  0.4736  -0.0112  -0.10
C  -1.8870  -0.7204  0.0082  0.07
C  0.3343  -1.2065  -0.0083  0.34
H  2.6513  0.1760  -0.0219  0.37
H  0.5420  2.1483  -0.0513  0.16
H  -1.7312  1.4532  0.0121  0.25
H  -2.9100  -1.0482  0.0276  0.23
N  2.3277  1.1439  -0.0179  -0.60
N  0.1022  0.1559  0.0277  -0.44
O  -0.9118  -1.6829  -0.0116  -0.43
S  1.6911  -2.0971  0.0094  -0.13

For the energy above the lowest of the compared OMol25 structures with the same formula, charge and spin, the calculation gives 106.72 kJ/mol. The HOMO energy comes out at -8.72 eV. The value obtained for the LUMO energy is 0.56 eV. The strongest force on any atom is 2.5 eV/Å. As for the HOMO-LUMO gap: 9.280 eV.

---

C12H17BrMnN3O2PS as an isolated structure at a distorted geometry, computed with ωB97M-V with the def2-TZVPD basis set.

Last column: natural (NBO) charge in e.
Geometry (Å):
Mn  0.3812  -0.4671  0.8540  1.47
O  6.1395  -1.5535  2.2251  -0.57
C  4.9495  -1.2720  1.7543  0.46
C  4.6367  -1.1628  0.3878  -0.30
C  3.3523  -0.8791  0.0176  0.10
N  2.3684  -0.6983  0.9336  -0.67
C  2.7104  -0.7997  2.2241  0.17
Br  1.1701  -0.5146  3.3179  0.23
C  3.9389  -1.0731  2.7195  -0.30
H  6.8098  -1.6822  1.5386  0.52
H  5.3951  -1.3042  -0.3710  0.27
H  3.0705  -0.7889  -1.0220  0.24
H  4.1572  -1.1438  3.7760  0.30
S  -1.5065  -1.5859  0.9424  -0.04
C  -3.2509  -1.7036  0.6672  0.32
N  -4.1245  -0.8330  1.2137  -0.47
C  -5.4552  -1.0055  1.0522  0.15